Copy the notes below unchanged.

/*
1.
Theoretical powder diffractogram
Compound: Y3Mg2WS8
Radiation: λ = 1.5418 Å (Cu Kα)
Structure: the GGA-PBE geometry in Alexandria
Kinematic intensities with the Lorentz-polarization factor, no thermal factor.

Cell and atoms:
```
Y3Mg2WS8
1.0
3.917 2.262 6.217
-3.917 2.262 6.217
0.000 -4.524 6.217
Y Mg W S
3 2 1 8
Direct
0.000 0.500 0.500
0.500 0.000 0.500
0.500 0.500 0.000
0.126 0.126 0.126
0.874 0.874 0.874
0.500 0.500 0.500
0.255 0.255 0.255
0.267 0.267 0.732
0.267 0.732 0.267
0.268 0.733 0.733
0.732 0.267 0.267
0.733 0.268 0.733
0.733 0.733 0.268
0.745 0.745 0.745
```

Top 12 peaks for 10 to 90 degrees two-theta, by angle:
two_theta, I (rel.)
13.89, 100
26.90, 55
27.28, 29
32.64, 83
35.33, 12
42.53, 16
42.79, 24
46.35, 39
47.31, 37
57.84, 14
77.15, 12
86.65, 12

2.
Theoretical powder diffractogram
Compound: Y2MgS
Radiation: λ = 1.5418 Å (Cu Kα)
Structure: the GGA-PBE geometry in Alexandria
Kinematic intensities with the Lorentz-polarization factor, no thermal factor.

Cell and atoms:
```
Y2MgS
1.0
1.885 1.088 8.554
-1.885 1.088 8.554
0.000 -2.176 8.554
Y Mg S
2 1 1
Direct
0.000 0.000 0.000
0.207 0.207 0.207
0.771 0.771 0.771
0.603 0.603 0.603
```

Top 12 peaks for 10 to 90 degrees two-theta, by angle:
two_theta, I (rel.)
10.34, 59
27.54, 30
28.21, 15
30.73, 42
31.37, 18
32.50, 100
39.38, 13
44.93, 30
48.28, 35
58.72, 17
59.42, 16
79.97, 14

3.
Theoretical powder diffractogram
Compound: MgZn2S3
Radiation: λ = 1.5418 Å (Cu Kα)
Structure: the GGA-PBE geometry in Alexandria
Kinematic intensities with the Lorentz-polarization factor, no thermal factor.

Cell and atoms:
```
MgZn2S3
1.0
-1.952 5.864 2.770
1.952 -5.864 2.770
1.952 5.864 -2.770
Mg Zn S
1 2 3
Direct
0.000 0.000 0.000
0.330 0.998 0.332
0.667 0.998 0.668
0.265 0.765 0.500
0.571 0.742 0.829
0.913 0.742 0.171
```

Top 12 peaks for 10 to 90 degrees two-theta, by angle:
two_theta, I (rel.)
15.11, 7
17.71, 9
27.95, 100
46.43, 53
46.53, 11
55.05, 27
55.15, 13
67.86, 6
74.83, 13
86.07, 7
86.15, 7
86.27, 7

4.
Theoretical powder diffractogram
Compound: Mg2Sb
Radiation: λ = 1.5418 Å (Cu Kα)
Structure: the GGA-PBE geometry in Alexandria
Kinematic intensities with the Lorentz-polarization factor, no thermal factor.

Cell and atoms:
```
Mg2Sb
1.0
5.121 0.000 0.000
-2.560 4.435 0.000
0.000 0.000 3.245
Mg Sb
2 1
Direct
0.333 0.667 0.000
0.667 0.333 0.000
0.000 0.000 0.500
```

Top 12 peaks for 10 to 90 degrees two-theta, by angle:
two_theta, I (rel.)
20.02, 80
34.24, 100
35.05, 65
40.69, 13
45.10, 10
49.81, 34
54.76, 11
62.35, 34
62.86, 11
68.46, 17
84.18, 15
89.74, 9

5.
Theoretical powder diffractogram
Compound: Mg7Sb
Radiation: λ = 1.5418 Å (Cu Kα)
Structure: the GGA-PBE geometry in Alexandria
Kinematic intensities with the Lorentz-polarization factor, no thermal factor.

Cell and atoms:
```
Mg7Sb
1.0
6.482 0.000 0.000
-3.241 5.614 0.000
0.000 0.000 5.078
Mg Sb
7 1
Direct
0.000 0.000 0.000
0.331 0.165 0.500
0.506 0.012 0.000
0.506 0.494 0.000
0.835 0.165 0.500
0.835 0.669 0.500
0.988 0.494 0.000
0.333 0.667 0.500
```

Top 12 peaks for 10 to 90 degrees two-theta, by angle:
two_theta, I (rel.)
15.79, 47
23.63, 43
27.52, 14
31.88, 31
32.78, 17
35.35, 24
36.58, 100
48.34, 19
56.81, 21
64.26, 18
68.72, 19
69.49, 14

6.
Theoretical powder diffractogram
Compound: MgSb5
Radiation: λ = 1.5418 Å (Cu Kα)
Structure: the GGA-PBE geometry in Alexandria
Kinematic intensities with the Lorentz-polarization factor, no thermal factor.

Cell and atoms:
```
MgSb5
1.0
2.582 -7.937 0.000
2.582 7.937 0.000
0.000 0.000 3.860
Mg Sb
1 5
Direct
0.000 0.000 0.000
0.157 0.843 0.500
0.337 0.663 0.000
0.500 0.500 0.500
0.663 0.337 0.000
0.843 0.157 0.500
```

Top 12 peaks for 10 to 90 degrees two-theta, by angle:
two_theta, I (rel.)
33.57, 100
33.88, 23
34.74, 23
47.09, 10
49.31, 16
59.27, 9
59.83, 9
60.42, 16
61.53, 17
70.56, 11
78.76, 8
82.13, 7

7.
Theoretical powder diffractogram
Compound: Mg7Sb
Radiation: λ = 1.5418 Å (Cu Kα)
Structure: the GGA-PBE geometry in Alexandria
*/

1.
Theoretical powder diffractogram
Compound: Y3Mg2WS8
Radiation: λ = 1.5418 Å (Cu Kα)
Structure: the GGA-PBE geometry in Alexandria
Kinematic intensities with the Lorentz-polarization factor, no thermal factor.

Cell and atoms:
```
Y3Mg2WS8
1.0
3.917 2.262 6.217
-3.917 2.262 6.217
0.000 -4.524 6.217
Y Mg W S
3 2 1 8
Direct
0.000 0.500 0.500
0.500 0.000 0.500
0.500 0.500 0.000
0.126 0.126 0.126
0.874 0.874 0.874
0.500 0.500 0.500
0.255 0.255 0.255
0.267 0.267 0.732
0.267 0.732 0.267
0.268 0.733 0.733
0.732 0.267 0.267
0.733 0.268 0.733
0.733 0.733 0.268
0.745 0.745 0.745
```

Top 12 peaks for 10 to 90 degrees two-theta, by angle:
two_theta, I (rel.)
13.89, 100
26.90, 55
27.28, 29
32.64, 83
35.33, 12
42.53, 16
42.79, 24
46.35, 39
47.31, 37
57.84, 14
77.15, 12
86.65, 12

2.
Theoretical powder diffractogram
Compound: Y2MgS
Radiation: λ = 1.5418 Å (Cu Kα)
Structure: the GGA-PBE geometry in Alexandria
Kinematic intensities with the Lorentz-polarization factor, no thermal factor.

Cell and atoms:
```
Y2MgS
1.0
1.885 1.088 8.554
-1.885 1.088 8.554
0.000 -2.176 8.554
Y Mg S
2 1 1
Direct
0.000 0.000 0.000
0.207 0.207 0.207
0.771 0.771 0.771
0.603 0.603 0.603
```

Top 12 peaks for 10 to 90 degrees two-theta, by angle:
two_theta, I (rel.)
10.34, 59
27.54, 30
28.21, 15
30.73, 42
31.37, 18
32.50, 100
39.38, 13
44.93, 30
48.28, 35
58.72, 17
59.42, 16
79.97, 14

3.
Theoretical powder diffractogram
Compound: MgZn2S3
Radiation: λ = 1.5418 Å (Cu Kα)
Structure: the GGA-PBE geometry in Alexandria
Kinematic intensities with the Lorentz-polarization factor, no thermal factor.

Cell and atoms:
```
MgZn2S3
1.0
-1.952 5.864 2.770
1.952 -5.864 2.770
1.952 5.864 -2.770
Mg Zn S
1 2 3
Direct
0.000 0.000 0.000
0.330 0.998 0.332
0.667 0.998 0.668
0.265 0.765 0.500
0.571 0.742 0.829
0.913 0.742 0.171
```

Top 12 peaks for 10 to 90 degrees two-theta, by angle:
two_theta, I (rel.)
15.11, 7
17.71, 9
27.95, 100
46.43, 53
46.53, 11
55.05, 27
55.15, 13
67.86, 6
74.83, 13
86.07, 7
86.15, 7
86.27, 7

4.
Theoretical powder diffractogram
Compound: Mg2Sb
Radiation: λ = 1.5418 Å (Cu Kα)
Structure: the GGA-PBE geometry in Alexandria
Kinematic intensities with the Lorentz-polarization factor, no thermal factor.

Cell and atoms:
```
Mg2Sb
1.0
5.121 0.000 0.000
-2.560 4.435 0.000
0.000 0.000 3.245
Mg Sb
2 1
Direct
0.333 0.667 0.000
0.667 0.333 0.000
0.000 0.000 0.500
```

Top 12 peaks for 10 to 90 degrees two-theta, by angle:
two_theta, I (rel.)
20.02, 80
34.24, 100
35.05, 65
40.69, 13
45.10, 10
49.81, 34
54.76, 11
62.35, 34
62.86, 11
68.46, 17
84.18, 15
89.74, 9

5.
Theoretical powder diffractogram
Compound: Mg7Sb
Radiation: λ = 1.5418 Å (Cu Kα)
Structure: the GGA-PBE geometry in Alexandria
Kinematic intensities with the Lorentz-polarization factor, no thermal factor.

Cell and atoms:
```
Mg7Sb
1.0
6.482 0.000 0.000
-3.241 5.614 0.000
0.000 0.000 5.078
Mg Sb
7 1
Direct
0.000 0.000 0.000
0.331 0.165 0.500
0.506 0.012 0.000
0.506 0.494 0.000
0.835 0.165 0.500
0.835 0.669 0.500
0.988 0.494 0.000
0.333 0.667 0.500
```

Top 12 peaks for 10 to 90 degrees two-theta, by angle:
two_theta, I (rel.)
15.79, 47
23.63, 43
27.52, 14
31.88, 31
32.78, 17
35.35, 24
36.58, 100
48.34, 19
56.81, 21
64.26, 18
68.72, 19
69.49, 14

6.
Theoretical powder diffractogram
Compound: MgSb5
Radiation: λ = 1.5418 Å (Cu Kα)
Structure: the GGA-PBE geometry in Alexandria
Kinematic intensities with the Lorentz-polarization factor, no thermal factor.

Cell and atoms:
```
MgSb5
1.0
2.582 -7.937 0.000
2.582 7.937 0.000
0.000 0.000 3.860
Mg Sb
1 5
Direct
0.000 0.000 0.000
0.157 0.843 0.500
0.337 0.663 0.000
0.500 0.500 0.500
0.663 0.337 0.000
0.843 0.157 0.500
```

Top 12 peaks for 10 to 90 degrees two-theta, by angle:
two_theta, I (rel.)
33.57, 100
33.88, 23
34.74, 23
47.09, 10
49.31, 16
59.27, 9
59.83, 9
60.42, 16
61.53, 17
70.56, 11
78.76, 8
82.13, 7

7.
Theoretical powder diffractogram
Compound: Mg7Sb
Radiation: λ = 1.5418 Å (Cu Kα)
Structure: the GGA-PBE geometry in Alexandria